# Activity
What is needed: reproduce all of the entries further down unchanged.
# Material
'''
Diffraction record for RbBe2P3O10. The powder diffractogram is theoretical, not measured: it uses DFT lattice parameters and positions (PBE) and a wavelength of 1.5418 Å.

Top 10 peaks for 2θ from 5° to 70°, by angle:
Position (°2θ)	intensity
20.2	29
20.6	27
22.1	100
23.9	72
25.1	62
29.9	18
30.1	43
31.1	30
32.7	49
44.1	28

Atomic structure:
```
RbBe2P3O10
1.0
6.1651 -4.4001 0.0000
6.1651 4.4001 0.0000
-4.1352 0.0000 8.0369
Rb Be P O
2 4 6 20
Direct
0.1992 0.8008 0.7500
0.8008 0.1992 0.2500
0.2003 0.2884 0.0634
0.2884 0.2003 0.5634
0.7116 0.7997 0.4366
0.7997 0.7116 0.9366
0.0021 0.6319 0.2528
0.3681 0.9979 0.2472
0.3812 0.6188 0.2500
0.6188 0.3812 0.7500
0.6319 0.0021 0.7528
0.9979 0.3681 0.7472
0.0366 0.4136 0.1644
0.0810 0.3098 0.6025
0.1033 0.2401 0.8641
0.2221 0.6807 0.3478
0.2401 0.1033 0.3641
0.3098 0.0810 0.1025
0.3193 0.7779 0.1522
0.3672 0.4215 0.1245
0.4136 0.0366 0.6644
0.4215 0.3672 0.6245
0.5785 0.6328 0.3755
0.5864 0.9634 0.3356
0.6328 0.5785 0.8755
0.6807 0.2221 0.8478
0.6902 0.9190 0.8975
0.7599 0.8967 0.6359
0.7779 0.3193 0.6522
0.8967 0.7599 0.1359
0.9190 0.6902 0.3975
0.9634 0.5864 0.8356
```


Diffraction record for PmHg3. The powder diffractogram is theoretical, not measured: it uses DFT lattice parameters and positions (PBE) and a wavelength of 1.5418 Å.

Top 6 peaks for 2θ from 5° to 70°, by angle:
Position (°2θ)	intensity
20.9	1
24.2	1
34.5	100
40.7	1
49.6	18
61.8	38

Atomic structure:
```
PmHg3
1.0
0.0000 3.6761 3.6761
3.6761 0.0000 3.6761
3.6761 3.6761 0.0000
Pm Hg
1 3
Direct
0.0000 0.0000 0.0000
0.2500 0.2500 0.2500
0.5000 0.5000 0.5000
0.7500 0.7500 0.7500
```


Diffraction record for LiU3O8. The powder diffractogram is theoretical, not measured: it uses DFT lattice parameters and positions (PBE) and a wavelength of 1.5418 Å.

Top 10 peaks for 2θ from 5° to 70°, by angle:
Position (°2θ)	intensity
21.0	59
25.8	100
33.5	75
42.8	13
45.5	21
45.6	10
50.6	53
50.7	9
57.8	10
64.2	18

Atomic structure:
```
LiU3O8
1.0
4.2279 0.0000 0.0000
0.0000 5.9671 3.4567
0.0000 -5.9671 3.4567
Li U O
1 3 8
Direct
0.0000 0.0000 0.0000
0.5000 0.2704 0.9046
0.5000 0.5989 0.5989
0.5000 0.9046 0.2704
0.0000 0.2414 0.9110
0.0000 0.6313 0.6313
0.0000 0.9110 0.2414
0.5000 0.0306 0.0306
0.5000 0.2515 0.5212
0.5000 0.5212 0.2515
0.5000 0.5988 0.9210
0.5000 0.9210 0.5988
```


Diffraction record for Na2Nb3S6. The powder diffractogram is theoretical, not measured: it uses DFT lattice parameters and positions (PBE) and a wavelength of 1.5418 Å.

Top 10 peaks for 2θ from 5° to 70°, by angle:
Position (°2θ)	intensity
12.2	100
31.0	47
35.7	32
39.4	47
43.8	18
48.7	13
50.1	7
54.0	31
55.6	11
68.9	8

Atomic structure:
```
Na2Nb3S6
1.0
2.9416 1.6983 14.5543
-2.9416 1.6983 14.5543
0.0000 -3.3967 14.5543
Na Nb S
4 6 12
Direct
0.0832 0.0832 0.0832
0.4165 0.4165 0.4165
0.5835 0.5835 0.5835
0.9168 0.9168 0.9168
0.0000 0.3335 0.6665
0.1668 0.1668 0.1668
0.3335 0.6665 0.0000
0.5000 0.5000 0.5000
0.6665 0.0000 0.3335
0.8332 0.8332 0.8332
0.0349 0.7020 0.3698
0.1299 0.7979 0.4655
0.2021 0.8701 0.5345
0.2980 0.9651 0.6302
0.3698 0.0349 0.7020
0.4655 0.1299 0.7979
0.5345 0.2021 0.8701
0.6302 0.2980 0.9651
0.7020 0.3698 0.0349
0.7979 0.4655 0.1299
0.8701 0.5345 0.2021
0.9651 0.6302 0.2980
```


Diffraction record for K3B3O10. The powder diffractogram is theoretical, not measured: it uses DFT lattice parameters and positions (PBE) and a wavelength of 1.5418 Å.

Top 10 peaks for 2θ from 5° to 70°, by angle:
Position (°2θ)	intensity
16.6	38
22.7	49
29.3	100
31.1	32
31.3	34
38.9	24
40.0	38
45.1	46
46.2	19
46.4	37

Atomic structure:
```
K3B3O10
1.0
7.3201 -3.6346 0.0000
7.3201 3.6346 0.0000
0.0000 0.0000 9.2707
K B O
6 6 20
Direct
0.0095 0.9905 0.5000
0.2795 0.2968 0.4950
0.2968 0.2795 0.9950
0.7032 0.7205 0.4950
0.7205 0.7032 0.9950
0.9905 0.0095 0.0000
0.1742 0.6493 0.2424
0.3507 0.8258 0.2424
0.4399 0.5601 0.7555
0.5601 0.4399 0.2555
0.6493 0.1742 0.7424
0.8258 0.3507 0.7424
0.0378 0.6577 0.3518
0.0538 0.6549 0.1216
0.0716 0.2214 0.2324
'''
# Outcome
Diffraction record for RbBe2P3O10. The powder diffractogram is theoretical, not measured: it uses DFT lattice parameters and positions (PBE) and a wavelength of 1.5418 Å.

Top 10 peaks for 2θ from 5° to 70°, by angle:
Position (°2θ)	intensity
20.2	29
20.6	27
22.1	100
23.9	72
25.1	62
29.9	18
30.1	43
31.1	30
32.7	49
44.1	28

Atomic structure:
```
RbBe2P3O10
1.0
6.1651 -4.4001 0.0000
6.1651 4.4001 0.0000
-4.1352 0.0000 8.0369
Rb Be P O
2 4 6 20
Direct
0.1992 0.8008 0.7500
0.8008 0.1992 0.2500
0.2003 0.2884 0.0634
0.2884 0.2003 0.5634
0.7116 0.7997 0.4366
0.7997 0.7116 0.9366
0.0021 0.6319 0.2528
0.3681 0.9979 0.2472
0.3812 0.6188 0.2500
0.6188 0.3812 0.7500
0.6319 0.0021 0.7528
0.9979 0.3681 0.7472
0.0366 0.4136 0.1644
0.0810 0.3098 0.6025
0.1033 0.2401 0.8641
0.2221 0.6807 0.3478
0.2401 0.1033 0.3641
0.3098 0.0810 0.1025
0.3193 0.7779 0.1522
0.3672 0.4215 0.1245
0.4136 0.0366 0.6644
0.4215 0.3672 0.6245
0.5785 0.6328 0.3755
0.5864 0.9634 0.3356
0.6328 0.5785 0.8755
0.6807 0.2221 0.8478
0.6902 0.9190 0.8975
0.7599 0.8967 0.6359
0.7779 0.3193 0.6522
0.8967 0.7599 0.1359
0.9190 0.6902 0.3975
0.9634 0.5864 0.8356
```


Diffraction record for PmHg3. The powder diffractogram is theoretical, not measured: it uses DFT lattice parameters and positions (PBE) and a wavelength of 1.5418 Å.

Top 6 peaks for 2θ from 5° to 70°, by angle:
Position (°2θ)	intensity
20.9	1
24.2	1
34.5	100
40.7	1
49.6	18
61.8	38

Atomic structure:
```
PmHg3
1.0
0.0000 3.6761 3.6761
3.6761 0.0000 3.6761
3.6761 3.6761 0.0000
Pm Hg
1 3
Direct
0.0000 0.0000 0.0000
0.2500 0.2500 0.2500
0.5000 0.5000 0.5000
0.7500 0.7500 0.7500
```


Diffraction record for LiU3O8. The powder diffractogram is theoretical, not measured: it uses DFT lattice parameters and positions (PBE) and a wavelength of 1.5418 Å.

Top 10 peaks for 2θ from 5° to 70°, by angle:
Position (°2θ)	intensity
21.0	59
25.8	100
33.5	75
42.8	13
45.5	21
45.6	10
50.6	53
50.7	9
57.8	10
64.2	18

Atomic structure:
```
LiU3O8
1.0
4.2279 0.0000 0.0000
0.0000 5.9671 3.4567
0.0000 -5.9671 3.4567
Li U O
1 3 8
Direct
0.0000 0.0000 0.0000
0.5000 0.2704 0.9046
0.5000 0.5989 0.5989
0.5000 0.9046 0.2704
0.0000 0.2414 0.9110
0.0000 0.6313 0.6313
0.0000 0.9110 0.2414
0.5000 0.0306 0.0306
0.5000 0.2515 0.5212
0.5000 0.5212 0.2515
0.5000 0.5988 0.9210
0.5000 0.9210 0.5988
```


Diffraction record for Na2Nb3S6. The powder diffractogram is theoretical, not measured: it uses DFT lattice parameters and positions (PBE) and a wavelength of 1.5418 Å.

Top 10 peaks for 2θ from 5° to 70°, by angle:
Position (°2θ)	intensity
12.2	100
31.0	47
35.7	32
39.4	47
43.8	18
48.7	13
50.1	7
54.0	31
55.6	11
68.9	8

Atomic structure:
```
Na2Nb3S6
1.0
2.9416 1.6983 14.5543
-2.9416 1.6983 14.5543
0.0000 -3.3967 14.5543
Na Nb S
4 6 12
Direct
0.0832 0.0832 0.0832
0.4165 0.4165 0.4165
0.5835 0.5835 0.5835
0.9168 0.9168 0.9168
0.0000 0.3335 0.6665
0.1668 0.1668 0.1668
0.3335 0.6665 0.0000
0.5000 0.5000 0.5000
0.6665 0.0000 0.3335
0.8332 0.8332 0.8332
0.0349 0.7020 0.3698
0.1299 0.7979 0.4655
0.2021 0.8701 0.5345
0.2980 0.9651 0.6302
0.3698 0.0349 0.7020
0.4655 0.1299 0.7979
0.5345 0.2021 0.8701
0.6302 0.2980 0.9651
0.7020 0.3698 0.0349
0.7979 0.4655 0.1299
0.8701 0.5345 0.2021
0.9651 0.6302 0.2980
```


Diffraction record for K3B3O10. The powder diffractogram is theoretical, not measured: it uses DFT lattice parameters and positions (PBE) and a wavelength of 1.5418 Å.

Top 10 peaks for 2θ from 5° to 70°, by angle:
Position (°2θ)	intensity
16.6	38
22.7	49
29.3	100
31.1	32
31.3	34
38.9	24
40.0	38
45.1	46
46.2	19
46.4	37

Atomic structure:
```
K3B3O10
1.0
7.3201 -3.6346 0.0000
7.3201 3.6346 0.0000
0.0000 0.0000 9.2707
K B O
6 6 20
Direct
0.0095 0.9905 0.5000
0.2795 0.2968 0.4950
0.2968 0.2795 0.9950
0.7032 0.7205 0.4950
0.7205 0.7032 0.9950
0.9905 0.0095 0.0000
0.1742 0.6493 0.2424
0.3507 0.8258 0.2424
0.4399 0.5601 0.7555
0.5601 0.4399 0.2555
0.6493 0.1742 0.7424
0.8258 0.3507 0.7424
0.0378 0.6577 0.3518
0.0538 0.6549 0.1216
0.0716 0.2214 0.2324